Volunteerism is empathy in motion. It is the desire to see a better world met with the implementation of action. Something that many people don’t realize before volunteering is how their lives will be inexplicably changed afterwards. The simple choice of giving back to others who cannot repay you can lead one on a journey of growth and betterment of self. On Wikipedia, volunteering is defined as ‘freely offering to do something.’ Often times in our societal state of affairs, it feels like everything needs to have a return on investment in order to be deemed as worthy. Yet, the most beautiful things in life are priceless. When it comes to giving back, the investment is love and the return is love. Doesn’t everyone want that?

A testament to the way volunteerism can strengthen and unite people is that when we give to people in need, we ourselves feel empowered. According to an article on Volunteer Hub – volunteerism is said to improve health by strengthening the body, mood, and it lessens stress in participants. By giving your heart through volunteering to another person/community, it is a reflection of the beauty that already exists within you. Learning to give that gift to people in need is one of the highest forms of care.
While it is true that every human being endures hardships, working with the communities that you travel to brings a deeper perspective into our own lives. One thing that volunteering can provide is the understanding that many of our common complaints come from a place of privilege. Stepping into places where citizens are struggling with attaining even the most basic care will help you realize how much you have in this life. Understanding our own privilege is not so we feel pity or ‘better than’ others, but rather it grants us the knowledge that we can use our privilege in a positive way. Instead of spending time thinking about what is lacking in our own lives, we can use that same energy to build up the lives of others. When volunteering, it is important to remind yourself that we are all one. Although there are biological, cultural, economic and environmental differences that separate us – deep down we all share commonalities that unite us. There is nothing more beautiful than finding connection with unexpected individuals in unexpected places. Even the language barrier cannot come between the language of compassion.
You don’t have to travel thousands of miles away to a third world country to give back either. Unfortunately, there are citizens here in the United States who are not even afforded access to clean water and have air pollutants creating unhealthy living conditions. In the South Bronx of New York City, children are suffering from the highest rates of asthma in the country due to air pollution. Due to the toxic water in Flint Michigan – children have ascending levels of led in their blood and many have brain damage for the rest of their lives. There are rising quality of life issues that are affecting our own land and people. The spirit of volunteerism must not stop when we arrive back to our own country, towns and cities – it is a fire that must stay lit within us so we start to see the way we can impact our own communities.
Additionally, if you cannot volunteer your time due to a disability – giving back by donating to an organization of your choice can enrich your life in similar ways. Each month, Better World Tours donates to a non-profit business that is doing incredible things. If we cannot be on ground with our tour groups who are volunteering, we choose to give back to the places that they are visiting. In this way, we are constantly taking stock of the organizations who are doing work to bring more goodness to this planet.
[Between two parts of the entry: calculated molecules]
........
(1)
10
Properties=species:S:1:pos:R:3 method="wB97M-V/def2-TZVPD" homo_lumo_gap_ev=7.276 de_lowest_kj_mol=660.6 e_tot_ha=-355.388289 multiplicity=1 e_homo_ev=-9.209
N -1.049 2.097 1.356
C -0.528 1.167 0.757
N 1.338 -0.583 -1.831
N 0.806 -1.528 -1.351
O -1.090 -1.294 0.331
C 0.176 -1.256 0.099
C 0.131 0.230 0.130
H -1.741 2.642 0.843
H 0.860 -1.799 0.775
H 1.098 0.325 -1.109



(2)
10
Properties=species:S:1:pos:R:3 method="wB97M-V/def2-TZVPD" homo_lumo_gap_ev=9.851 de_lowest_kj_mol=300.1 e_tot_ha=-355.525599 multiplicity=1 e_homo_ev=-9.377
N 0.219 2.079 1.030
C -0.028 1.312 0.092
N 0.319 -0.670 1.973
N -0.050 -1.127 1.048
O 1.172 -1.953 -1.020
C 0.148 -1.341 -0.883
C -0.145 0.380 -0.849
H -0.526 2.334 1.685
H -0.848 -1.790 -1.009
H -0.441 0.676 -1.851



(3)
10
Properties=species:S:1:pos:R:3 method="wB97M-V/def2-TZVPD" homo_lumo_gap_ev=10.218 de_lowest_kj_mol=99.4 e_tot_ha=-355.602028 multiplicity=1 e_homo_ev=-9.715 smiles="N=C=CC=O.N#N"
N 2.168 -0.148 0.472
C 1.038 -0.552 0.274
N 0.359 2.343 -0.235
N -0.435 1.933 -0.878
O -1.742 0.408 1.122
C -1.472 -0.430 0.293
C -0.161 -1.074 0.062
H 2.656 0.349 -0.272
H -2.244 -0.781 -0.421
H -0.168 -2.048 -0.417



(4)
10
Properties=species:S:1:pos:R:3 method="wB97M-V/def2-TZVPD" homo_lumo_gap_ev=9.116 de_lowest_kj_mol=406.3 e_tot_ha=-355.485136 multiplicity=1 e_homo_ev=-10.104 smiles="O/C=C1/N=CN=N1"
C 1.449 0.346 0.162
C 0.223 0.121 0.074
C -1.827 0.521 0.004
H 3.311 0.176 -0.191
H 1.455 1.498 0.326
H -2.827 0.732 0.223
N -0.754 1.257 -0.159
N -1.805 -0.889 0.016
N -0.540 -1.164 -0.035
O 2.585 -0.346 -0.070



(5)
10
Properties=species:S:1:pos:R:3 method="wB97M-V/def2-TZVPD" homo_lumo_gap_ev=9.634 de_lowest_kj_mol=341.9 e_tot_ha=-355.509656 multiplicity=1 e_homo_ev=-9.290
N -1.345 1.708 1.099
........
It can be easy to feel like just one person is not going to change the world. In a realistic response, I would agree. I believe that our society can expand out of celebrating the individual and start empowering those who are building communities, businesses, and working together to create spaces where love can thrive. Complacency is not a productive state – as noting what is ‘wrong’ in the world can actually lead to understanding what is right and moving towards it with your actions.
Volunteerism is the spark that leads to a better world. I mentioned the toxicity of the water in Flint, Michigan – and although so much damage has been done to that community, there are activists such as Jaden Smith, LeeAnn Walters and organizations such as United Way of Genesee County and the Food Bank of Eastern Michigan that are providing help for these struggling citizens. This goes to show that although there is darkness in this world – there are always people who are providing the light. Note them, remember them and learn to be one of them. It can be a lifelong struggle to become the best version of yourself, but that journey starts with empathy and service in whatever way you can provide it.
When I think about the power of those who choose to volunteer – I think of the quote from Fred Rogers which states, “When I was a boy and I would see scary things in the news, my mother would say to me, ‘Look for the helpers. You will always find people who are helping.’ To this day, especially in times of disaster, I remember my mother’s words and I am always comforted by realizing that there are still so many helpers—so many caring people in this world.”
Inserted here: data records >
- - -
Density functional theory data (ωB97M-V with the def2-TZVPD basis set) for a molecular structure, C5H10AuO2S3.

Last column: Löwdin charge in e.
Element x y z (Å)
1 C 0.17 2.87 -0.78  -0.06
2 C -1.32 -0.82 2.37  -0.04
3 H -1.11 1.59 2.94  0.14
4 Au 0.50 -0.52 -0.16  0.70
5 S 1.68 -3.45 -3.42  0.76
6 H -0.43 3.78 -0.80  0.10
7 H 0.53 2.66 -1.78  0.10
8 O -0.65 1.75 -0.38  -0.28
9 H -2.23 -0.78 1.77  0.10
10 C 1.30 -2.42 -2.29  -1.84
11 H -1.52 -0.51 3.39  0.10
12 O -0.30 0.05 1.81  -0.35
13 C -1.39 1.98 0.82  -0.18
14 H -0.91 -1.83 2.37  0.10
15 S -0.05 -2.45 -1.22  0.65
16 S 2.07 -0.99 -1.72  0.64
17 H 1.01 3.01 -0.10  0.09
18 C -0.59 1.47 1.99  -0.14
19 H 0.38 1.95 2.06  0.14
20 H -1.63 3.04 0.94  0.14
21 H -2.33 1.44 0.71  0.14

Its gap between HOMO and LUMO is 6.10 eV. The calculation puts the HOMO energy at -0.4572 Ha. The value obtained for the energy above the lowest of the compared OMol25 structures with the same formula, charge and spin is 0.0 kJ/mol. Its spin multiplicity is 1. The total energy is -1676.90835 hartree. As for the total charge: +1.

Density functional theory data (ωB97M-V with the def2-TZVPD basis set) for a single C12H13N3O molecule.

Last column: Löwdin charge in e.
Element x y z (Å)
1 N 1.99 1.47 0.47  0.10
2 H 0.91 -2.37 0.90  0.11
3 H -0.69 -0.75 2.95  0.12
4 H -2.50 1.21 -2.26  0.11
5 H 0.98 -1.31 -0.85  0.14
6 C 2.01 2.20 -0.66  -0.14
7 N 1.28 -0.35 -0.80  0.22
8 C -0.63 -1.37 2.05  -0.13
9 H -0.92 1.31 1.70  0.12
10 H -1.69 -2.43 -0.20  0.12
11 H 1.64 2.34 -2.76  0.11
12 H -2.50 -1.25 -2.20  0.11
13 C 1.23 0.36 -2.02  -0.48
14 H -1.72 2.49 -0.29  0.11
15 N 1.64 -0.52 1.52  0.07
16 C -2.16 0.70 -1.37  -0.08
17 C 0.85 -1.70 1.76  -0.17
18 C -1.70 -1.35 -0.22  -0.06
19 H 1.28 -2.21 2.62  0.12
20 C -1.27 0.74 0.85  -0.06
21 C 1.61 0.23 0.38  -0.41
22 H 1.83 0.06 2.33  0.14
23 C 1.64 1.72 -1.88  -0.01
24 H 2.32 3.22 -0.53  0.11
25 C -1.72 1.41 -0.27  -0.07
26 C -2.16 -0.69 -1.34  -0.08
27 O 0.87 -0.23 -3.02  0.05
28 H -1.16 -2.31 2.24  0.12
29 C -1.24 -0.64 0.89  -0.26

As for the SMILES: O=c1ccnc(NCCc2ccccc2)[nH]1. Its gap between HOMO and LUMO is 8.96 eV. The calculation puts the HOMO energy at -0.3047 Ha. The value obtained for the energy above the lowest of the compared OMol25 structures with the same formula, charge and spin is 0.0 kJ/mol. Its spin multiplicity is 1. The total energy is -704.62290 hartree.

Density functional theory data (ωB97M-V with the def2-TZVPD basis set) for a single C2H5N3S2 molecule in a non-equilibrium geometry.

Last column: Löwdin charge in e.
Element x y z (Å)
1 H -2.36 1.12 -0.24  0.12
2 H -0.15 -1.11 1.53  0.12
3 H 3.32 -0.96 -0.64  -0.05
4 S 2.47 0.22 -0.41  0.65
5 S 0.02 1.95 0.27  0.79
6 C 0.44 -0.51 0.87  -0.41
7 N -0.35 0.33 0.13  -0.53
8 H -1.63 -1.60 -0.48  0.04
9 H 0.62 2.10 -0.99  -0.10
10 C -1.70 0.19 -0.21  -0.37
11 N 1.66 -0.86 0.61  -0.37
12 N -2.33 -0.88 -0.46  0.11
- - -
Be a helper. The world needs you.